Could you set down the whole of the notes below without additions?
┌──
Calculated XRD peak list
Compound: MgPt2Se3
Radiation: Cu Kα
Structure: the GGA-PBE geometry in Alexandria
Kinematic intensities with the Lorentz-polarization factor, no thermal factor.

Lattice parameters (Å, degrees): 7.565 7.565 5.081 90.00 90.00 120.00
Element x y z (fractional)
Mg 0.333 0.667 0.351
Mg 0.667 0.333 0.649
Pt 0.000 0.000 0.000
Pt 0.000 0.500 0.000
Pt 0.500 0.000 0.000
Pt 0.500 0.500 0.000
Se 0.175 0.350 0.751
Se 0.175 0.825 0.751
Se 0.350 0.175 0.249
Se 0.650 0.825 0.751
Se 0.825 0.175 0.249
Se 0.825 0.650 0.249

Most intense lines, 15° ≤ 2θ ≤ 90°, sorted by position:
└──
Calculated XRD peak list
Compound: MgPt2Se3
Radiation: Cu Kα
Structure: the GGA-PBE geometry in Alexandria
Kinematic intensities with the Lorentz-polarization factor, no thermal factor.

Lattice parameters (Å, degrees): 7.565 7.565 5.081 90.00 90.00 120.00
Element x y z (fractional)
Mg 0.333 0.667 0.351
Mg 0.667 0.333 0.649
Pt 0.000 0.000 0.000
Pt 0.000 0.500 0.000
Pt 0.500 0.000 0.000
Pt 0.500 0.500 0.000
Se 0.175 0.350 0.751
Se 0.175 0.825 0.751
Se 0.350 0.175 0.249
Se 0.650 0.825 0.751
Se 0.825 0.175 0.249
Se 0.825 0.650 0.249

Most intense lines, 15° ≤ 2θ ≤ 90°, sorted by position: